Job:
Next, search the entries below for the word "Ta" and return each line that has it.

Given:
-- begin --
[1]
A plane-wave DFT calculation with PBE was carried out for a relaxed structure of InCuPt2.

POSCAR file:
```
InCuPt2
1.0
3.000 0.021 0.000
-0.021 3.000 0.000
0.000 0.000 7.046
Pt Cu In
2 1 1
Direct
0.000 0.000 0.021 Pt
0.000 0.000 0.479 Pt
0.500 0.500 0.250 Cu
0.500 0.500 0.750 In
```

## Properties
ΔE_f	-28.8	kJ per mole of atoms

=====

[2]
A plane-wave DFT calculation with PBE was carried out for a relaxed structure of In2CuPt.

POSCAR file:
```
In2CuPt
1.0
7.339 -0.010 -0.020
-2.785 3.509 0.016
1.769 1.367 2.782
In Pt Cu
2 1 1
Direct
0.000 0.000 0.000 In
0.500 0.000 0.500 In
0.000 0.500 0.500 Pt
0.500 0.500 0.000 Cu
```

## Properties
ΔE_f	-13.9	kJ per mole of atoms

=====

[3]
A plane-wave DFT calculation with PBE was carried out for a relaxed structure of InCuPt2.

POSCAR file:
```
InCuPt2
1.0
3.693 0.000 0.000
0.000 2.966 0.015
0.000 2.953 5.828
Pt Cu In
2 1 1
Direct
0.000 0.514 0.486 Pt
0.000 0.986 0.014 Pt
0.500 0.250 0.250 Cu
0.500 0.750 0.750 In
```

## Properties
ΔE_f	-32.5	kJ per mole of atoms

=====

[4]
A plane-wave DFT calculation with PBE was carried out for a relaxed structure of InCuPt2.

POSCAR file:
```
InCuPt2
1.0
3.933 0.000 0.000
0.000 3.933 0.000
1.966 1.966 9.139
Pt In Cu
4 2 2
Direct
0.608 0.125 0.250 Pt
0.375 0.392 0.750 Pt
0.142 0.625 0.250 Pt
0.875 0.858 0.750 Pt
0.750 0.250 0.500 In
0.000 0.000 0.000 In
0.250 0.750 0.500 Cu
0.500 0.500 0.000 Cu
```

## Properties
ΔE_f	-3.7	kJ per mole of atoms

=====

> Among the records above, which one has the lowest ΔE_f?

number 3

=====

> Which of these has the lowest ΔE_f?

number 3

----------

PBE NdTaH4, relaxed; calculated density = 9.2 g/cm3; space-group type = P4/mmm, No. 123; calculated total energy = -5.329 eV/atom
1.0
3.293 0.000 0.000
0.000 3.293 0.000
0.000 0.000 5.460
Nd Ta H
1 1 4
Cartesian
0.000 0.000 0.000
1.647 1.647 2.730
0.000 1.647 1.659
0.000 1.647 3.801
1.647 0.000 1.659
1.647 0.000 3.801


PBE NdTmH4, relaxed; calculated density = 7.3 g/cm3; space-group type = P4/mmm, No. 123; calculated total energy = -4.445 eV/atom
1.0
3.690 0.000 0.000
0.000 3.690 0.000
0.000 0.000 5.319
Nd Tm H
1 1 4
Cartesian
0.000 0.000 0.000
1.845 1.845 2.660
0.000 1.845 1.444
0.000 1.845 3.876
1.845 0.000 1.444
1.845 0.000 3.876


PBE NdYH4, relaxed; calculated density = 5.2 g/cm3; space-group type = P4/mmm, No. 123; calculated total energy = -4.787 eV/atom
1.0
3.747 0.000 0.000
0.000 3.747 0.000
0.000 0.000 5.345
Nd Y H
1 1 4
Cartesian
0.000 0.000 0.000
1.873 1.873 2.672
0.000 1.873 1.414
0.000 1.873 3.931
1.873 0.000 1.414
1.873 0.000 3.931


PBE Ni3H, relaxed; polymorph energy (0 for the lowest one) = 0.0000 eV/atom; calculated density = 7.8 g/cm3; space-group type = P6_3/mmc, No. 194
1.0
4.880 0.000 0.000
-2.440 4.226 0.000
0.000 0.000 3.671
Ni H
6 2
Cartesian
0.000 1.467 0.918
-1.170 3.493 0.918
1.270 0.733 2.753
1.170 3.493 0.918
3.610 0.733 2.753
2.440 2.759 2.753
0.000 2.817 2.753
2.440 1.409 0.918


PBE Ni3H, relaxed; polymorph energy (0 for the lowest one) = 0.0248 eV/atom; calculated density = 7.7 g/cm3; space-group type = Fm-3m, No. 225
1.0
0.000 2.670 2.670
2.670 0.000 2.670
2.670 2.670 0.000
Ni H
3 1
Cartesian
0.000 0.000 0.000
1.335 1.335 1.335
4.005 4.005 4.005
2.670 2.670 2.670


PBE Ni3H, relaxed; polymorph energy (0 for the lowest one) = 0.0033 eV/atom; calculated density = 7.7 g/cm3; space-group type = I4/mmm, No. 139
1.0
-1.720 1.720 3.205
1.720 -1.720 3.205
1.720 1.720 -3.205
Ni H
3 1
Cartesian
0.000 0.000 0.000
1.720 0.000 1.603
0.000 1.720 1.603
0.000 0.000 3.205


PBE Ni2H3, relaxed; calculated density = 7.0 g/cm3; space-group type = P-1, No. 2; calculated total energy = -4.191 eV/atom
1.0
4.997 0.000 0.000
-2.383 4.464 0.000
-0.167 -0.375 5.099
Ni H
8 12
Cartesian
0.289 0.771 1.585
-0.746 3.517 0.241
-0.324 3.064 2.777
0.711 1.110 4.124
1.736 2.979 0.976
2.771 1.026 2.323
3.193 0.573 4.858
2.158 3.319 3.514
0.000 0.000 0.000
-1.903 3.511 1.951
-1.404 2.477 3.832
0.320 2.157 0.461
1.985 0.177 3.528
1.898 0.781 0.800
-- stop --

Written answer:
Nd Ta H